Message from the Minister: The Seventh Sunday after Trinity, 18th July 2021

If there’s one thing that the pandemic has taught us, it’s how much we take for granted. Whether live music or singing, attending events or tea shops or dances, visiting our friends and families, seeing the doctor, going abroad or freely browsing in the shops, these things were so everyday that we never dreamed they would stop. Some people are calling tomorrow ‘freedom day’ in the hope of reliving the past. As we reflect, we might give thanks for what we took for granted.

-- Here the page breaks off for calculated crystals --
No. 1
4
Lattice="3.185 -3.164 2.121 1.938 1.039 4.452 -1.386 -2.620 3.984" Properties=species:S:1:pos:R:3 comment="NdAgAu2 | Materials Project | r²SCAN | optimized geometry" e_form_mev_per_atom=-623 total_energy_ev_per_atom=-38.61 pbc="T T T"
Nd 2.803 -3.559 7.918
Ag 0.934 -1.186 2.639
Au 0.000 0.000 0.000
Au 1.869 -2.373 5.279


No. 2
5
Lattice="-1.913 1.580 -4.211 -4.005 -2.679 0.814 -2.045 3.769 2.343" Properties=species:S:1:pos:R:3 comment="Y3SnC | Materials Project | r²SCAN | optimized geometry" e_form_mev_per_atom=-785 total_energy_ev_per_atom=-19.91 pbc="T T T"
Y -1.979 2.675 -0.934
Y -3.025 0.545 1.579
Y -2.959 -0.550 -1.698
Sn 0.000 0.000 0.000
C -3.981 1.335 -0.527


Q: Which formula does entry 2 have?
A: Y3SnC

----------

## NaTi2O4 (PBE-GGA)

Data for crystalline NaTi2O4 at its relaxed geometry.

Cell lengths 6.165, 6.165, 6.165 Å; angles 60.00, 60.00, 60.00 degrees
Sites, in units of the cell vectors:
O 0.320 0.893 0.893
O 0.893 0.893 0.893
O 0.357 0.357 0.930
O 0.893 0.893 0.320
O 0.357 0.930 0.357
O 0.930 0.357 0.357
Ti 0.625 0.125 0.125
Ti 0.125 0.625 0.125
Ti 0.125 0.125 0.625
Ti 0.125 0.125 0.125
Na 0.750 0.750 0.750
Na 0.500 0.500 0.500
O 0.357 0.357 0.357
O 0.893 0.320 0.893

## Properties
The value obtained for the energy is -8.010 eV per atom. The formation energy is -3130 meV per atom. The value obtained for the energy relative to the lowest polymorph listed for this composition is 0.07 eV/f.u.

----------

i) Computed, not measured: a relaxed LiCoPO4 crystal at the PBE with a Hubbard U level of DFT.

Cell: 9.8976 9.8976 23.9103 Å, 90.00 90.00 120.00°
Space group P6_1 (No. 169)
Symmetry-distinct sites (fractional):
Li (0.0231, 0.9761, 0.0000) (multiplicity 6)
Li (0.0341, 0.5878, 0.3384) (multiplicity 6)
Li (0.0396, 0.4776, 0.1543) (multiplicity 6)
Li (0.0519, 0.4595, 0.4981) (multiplicity 6)
Co (0.0857, 0.7649, 0.2245) (multiplicity 6)
Co (0.1012, 0.8200, 0.5746) (multiplicity 6)
Co (0.1247, 0.7546, 0.8982) (multiplicity 6)
Co (0.3106, 0.6677, 0.0613) (multiplicity 6)
P (0.0821, 0.7555, 0.7712) (multiplicity 6)
P (0.0927, 0.7900, 0.0952) (multiplicity 6)
P (0.1322, 0.7718, 0.4444) (multiplicity 6)
P (0.2858, 0.6473, 0.6005) (multiplicity 6)
O (0.0154, 0.6646, 0.8266) (multiplicity 6)
O (0.0155, 0.1551, 0.5680) (multiplicity 6)
O (0.0157, 0.6881, 0.1477) (multiplicity 6)
O (0.0302, 0.3399, 0.2225) (multiplicity 6)
O (0.0346, 0.7626, 0.4960) (multiplicity 6)
O (0.0375, 0.7660, 0.3915) (multiplicity 6)
O (0.0582, 0.3000, 0.4476) (multiplicity 6)
O (0.0760, 0.3715, 0.7772) (multiplicity 6)
O (0.0820, 0.1741, 0.1093) (multiplicity 6)
O (0.1226, 0.6905, 0.0524) (multiplicity 6)
O (0.1379, 0.6613, 0.6098) (multiplicity 6)
O (0.1617, 0.6315, 0.4427) (multiplicity 6)
O (0.1870, 0.6049, 0.9183) (multiplicity 6)
O (0.2102, 0.4620, 0.0952) (multiplicity 6)
O (0.2577, 0.5303, 0.5522) (multiplicity 6)
O (0.2631, 0.6770, 0.3215) (multiplicity 6)

## Properties
Calculated density: 3.16 g cm⁻³
-- The calculated crystals stop here --

There’s a saying that ‘we don’t miss the water until the well runs dry’, but that assumes that we’ve got a well in the first place. Somebody had to dig it. It’s unthinkable that we could go without fresh water, sanitation, health care, electricity, clothes or education, but these things were hard won in the past by caring individuals who pressed for change. They gave up their own time and comforts for the sake of every one of us. Imagine what it was like for the first people to receive them. As we reflect, we might give thanks for what we take for granted.

The Trussell Trust, who help set up the foodbanks, campaign for a day when children won’t go hungry. Some can’t understand why this can happen, when we have a benefits system in place, and when they themselves often waste so much food. What happens when people live in poverty is that they have to choose between necessities, and food sometimes runs out. As we reflect, we might give thanks for what we take for granted.

The people in Jesus’s time were starved of the kind of teaching and healing he brought to them, so much so that they crowded in on him wherever he went. He wanted some time out with the disciples, but there was no chance - a great crowd was waiting for him. He didn’t send them away. He cared about them enough to give them what they needed, at a cost to his own time and comfort. He had compassion for them, because they were like sheep without a shepherd. He cared enough to give up his life, for our sake.

It was no surprise that so many people listened to the apostles later. They greeted the good news of the kingdom of God that Jesus had opened the door to with joy. They were hungry. They’d been starved of God’s love. It was now accessible to them. The letter to the Ephesians said that they had no hope before then, they were without God in the world until Christ. As we reflect, we might give thanks for what we take for granted.

‘He is our peace’ the letter went on. When people make peace, we come together. We’re reconciled. The peace Jesus makes is to join us together in God’s love, so that there is no longer an ‘us and them’, there is only us: whatever our differences, whoever we are. We too are willing to give up our own comforts, to give our time for the sake of other people.

Freedom day tomorrow means that we can put other people at risk. It means that many feel like sheep without a shepherd. As long as we follow the lead of our good shepherd, we will make the right choices, for the good of all. 


Julie Rubidge, Lay Minister